(By Anwar Smith) – For the most part I really dislike scary movies. I have problems with the senseless violence and completely unrealistic plot and characters. Of all the scary movies out there, and I must confess I have only seen a few, the ones that I have found to be the scariest are the Jaws movies. Many of you reading this may not have been around in the 80’s so to catch you up on the storyline; there is a very large shark in the ocean off the Coast of Amity Island that is eating people. There is one man (the police chief), who enlists the help of two others to help destroy this menacing, oversized, Great White Shark. The plot is simple and the characters are predictable and the action is improbable but yet every time I watch this movie I find myself glued to the TV.

**Data records, as found in the file**
~~~
Entry 1:
Density functional theory data (PBE) for a relaxed structure of Sb2AsAuXeF14.

Cell: 16.7016 8.4352 11.4157 Å, 90.00 90.00 90.00°
Atoms (fractional coordinates):
1 Sb 0.1113 0.2433 0.0000
2 Sb 0.1494 0.8530 0.7954
3 Sb 0.3506 0.3530 0.2954
4 Sb 0.3887 0.7433 0.5000
5 Sb 0.6113 0.2567 0.0000
6 Sb 0.6494 0.6470 0.7954
7 Sb 0.8506 0.1470 0.2954
8 Sb 0.8887 0.7567 0.5000
9 As 0.1444 0.8528 0.3032
10 As 0.3556 0.3528 0.8032
11 As 0.6444 0.6472 0.3032
12 As 0.8556 0.1472 0.8032
13 Au 0.1285 0.0860 0.4137
14 Au 0.3715 0.5860 0.9137
15 Au 0.6285 0.4140 0.4137
16 Au 0.8715 0.9140 0.9137
17 Xe 0.0943 0.3437 0.5395
18 Xe 0.4057 0.8437 0.0395
19 Xe 0.5943 0.1563 0.5395
20 Xe 0.9057 0.6563 0.0395
21 F 0.0132 0.1272 0.0046
22 F 0.0360 0.8773 0.8023
23 F 0.0727 0.8139 0.1988
24 F 0.0740 0.4064 0.1001
25 F 0.0765 0.3426 0.8596
26 F 0.1388 0.6748 0.3771
27 F 0.1454 0.6663 0.7031
28 F 0.1479 0.7455 0.9414
29 F 0.1520 0.1175 0.1259
30 F 0.1531 0.9917 0.6634
31 F 0.1543 0.0621 0.8935
32 F 0.2151 0.3332 0.9783
33 F 0.2289 0.8160 0.2213
34 F 0.2367 0.3576 0.3041
35 F 0.2633 0.8576 0.8041
36 F 0.2711 0.3160 0.7213
37 F 0.2849 0.8332 0.4783
38 F 0.3457 0.5621 0.3935
39 F 0.3469 0.4917 0.1634
40 F 0.3480 0.6175 0.6259
41 F 0.3521 0.2455 0.4414
42 F 0.3546 0.1663 0.2031
43 F 0.3612 0.1748 0.8771
44 F 0.4235 0.8426 0.3596
45 F 0.4260 0.9064 0.6001
46 F 0.4273 0.3139 0.6988
47 F 0.4640 0.3773 0.3023
48 F 0.4868 0.6272 0.5046
49 F 0.5132 0.3728 0.0046
50 F 0.5360 0.6227 0.8023
51 F 0.5727 0.6861 0.1988
52 F 0.5740 0.0936 0.1001
53 F 0.5765 0.1574 0.8596
54 F 0.6388 0.8252 0.3771
55 F 0.6454 0.8337 0.7031
56 F 0.6479 0.7545 0.9414
57 F 0.6520 0.3825 0.1259
58 F 0.6531 0.5083 0.6634
59 F 0.6543 0.4379 0.8935
60 F 0.7151 0.1668 0.9783
61 F 0.7289 0.6840 0.2213
62 F 0.7367 0.1424 0.3041
63 F 0.7633 0.6424 0.8041
64 F 0.7711 0.1840 0.7213
65 F 0.7849 0.6668 0.4783
66 F 0.8457 0.9379 0.3935
67 F 0.8469 0.0083 0.1634
68 F 0.8480 0.8825 0.6259
69 F 0.8521 0.2545 0.4414
70 F 0.8546 0.3337 0.2031
71 F 0.8612 0.3252 0.8771
72 F 0.9235 0.6574 0.3596
73 F 0.9260 0.5936 0.6001
74 F 0.9273 0.1861 0.6988
75 F 0.9640 0.1227 0.3023
76 F 0.9868 0.8728 0.5046

Values from the calculation:
ΔE_f: -2283 meV per atom
size of the total moment: 0.0 μB per cell

---

Entry 2:
Density functional theory data (PBE) for a relaxed structure of GdAs2Au.

Cell: 4.0466 4.0466 20.5042 Å, 90.00 90.00 89.86°
Atoms (fractional coordinates):
1 Gd 0.2372 0.7628 0.8828
2 Gd 0.2628 0.7372 0.3828
3 Gd 0.7372 0.2628 0.6172
4 Gd 0.7628 0.2372 0.1172
5 As 0.2273 0.2273 0.5000
6 As 0.2370 0.7630 0.6547
7 As 0.2630 0.7370 0.1547
8 As 0.2727 0.2727 0.0000
9 As 0.7273 0.7273 0.0000
10 As 0.7370 0.2630 0.8453
11 As 0.7630 0.2370 0.3453
12 As 0.7727 0.7727 0.5000
13 Au 0.2341 0.2659 0.7500
14 Au 0.2659 0.2341 0.2500
15 Au 0.7341 0.7659 0.7500
16 Au 0.7659 0.7341 0.2500

Values from the calculation:
ΔE_f: -756 meV per atom
size of the total moment: 27.7 μB per cell

---

Entry 3:
~~~

Here is what makes the movie so interesting. This Great White Shark looms in the murky, ocean water. You never know when it’s going to strike until you hear the classic, someone’s about to get eaten, music. This music starts off slow and then it gets faster and faster as you realize that the person that is just having an enjoyable time swimming has no idea what’s about to happen until . . . So many times, I find myself yelling at the people through my television screen:

“Look out, don’t go swim there by yourself!”
“Behind you, it’s coming behind you!”
“Don’t try to swim for shore, you’ll never make it!”

Crystal structures from another source follow.
/*
1.
Entry from Materials Project: crystalline CdH7C3NO6 at its relaxed geometry (PBE-GGA).

abc: 7.124 9.731 11.132
angles: 90.00 90.00 90.00
Space group Pna2_1 (No. 33)
Symmetry-distinct sites (fractional):
1 Cd 0.101 0.005 0.000
2 H 0.009 0.407 0.195
3 H 0.042 0.260 0.846
4 H 0.127 0.728 0.123
5 H 0.161 0.337 0.295
6 H 0.189 0.303 0.148
7 H 0.220 0.517 0.860
8 H 0.237 0.460 0.200
9 C 0.061 0.709 0.417
10 C 0.185 0.031 0.283
11 C 0.243 0.707 0.059
12 N 0.148 0.376 0.210
13 O 0.010 0.033 0.301
14 O 0.076 0.788 0.508
15 O 0.151 0.600 0.396
16 O 0.167 0.096 0.578
17 O 0.227 0.295 0.476
18 O 0.235 0.545 0.680

Formation energy from the elements = -1070.4 meV/atom

---

2.
Entry from Materials Project: crystalline CdH14C8N2O6 at its relaxed geometry (PBE-GGA).

abc: 16.214 8.141 10.629
angles: 90.00 90.00 90.00
Space group Pbcn (No. 60)
Symmetry-distinct sites (fractional):
1 Cd 0.000 0.167 0.250
2 H 0.082 0.483 0.122
3 H 0.142 0.307 0.548
4 H 0.165 0.154 0.665
5 H 0.190 0.253 0.890
6 H 0.201 0.470 0.911
7 H 0.223 0.142 0.325
8 H 0.246 0.280 0.603
9 C 0.041 0.047 0.982
10 C 0.111 0.483 0.216
11 C 0.180 0.277 0.631
12 C 0.211 0.368 0.847
13 N 0.166 0.396 0.730
14 O 0.071 0.145 0.063
15 O 0.073 0.019 0.875
16 O 0.094 0.378 0.299

Formation energy from the elements = -634.5 meV/atom

---

3.
Entry from Materials Project: crystalline CdH20C4S4N2O12 at its relaxed geometry (PBE-GGA).

abc: 7.694 8.163 8.564
angles: 70.61 75.21 64.08
Space group P-1 (No. 2)
Symmetry-distinct sites (fractional):
1 Cd 0.000 0.000 0.000
2 H 0.098 0.602 0.178
3 H 0.129 0.069 0.522
4 H 0.163 0.698 0.273
5 H 0.291 0.123 0.783
6 H 0.304 0.712 0.762
7 H 0.316 0.163 0.448
8 H 0.355 0.943 0.410
9 H 0.357 0.472 0.885
10 H 0.421 0.918 0.880
11 H 0.495 0.479 0.312
12 C 0.249 0.082 0.423
13 C 0.359 0.565 0.759
14 S 0.153 0.205 0.231
15 S 0.206 0.540 0.651
16 N 0.008 0.415 0.241
17 O 0.051 0.098 0.210
18 O 0.151 0.701 0.160
19 O 0.204 0.671 0.485
20 O 0.281 0.342 0.651
21 O 0.293 0.994 0.839
22 O 0.314 0.221 0.101

Formation energy from the elements = -853.8 meV/atom

---

4.
Entry from Materials Project: crystalline CdH2C4S6N4 at its relaxed geometry (PBE-GGA).

abc: 13.029 11.934 8.052
angles: 90.00 90.00 90.00
Space group Pbcn (No. 60)
Symmetry-distinct sites (fractional):
1 Cd 0.000 0.142 0.250
2 H 0.170 0.158 0.585
3 C 0.092 0.311 0.577
4 C 0.249 0.393 0.705
5 S 0.025 0.279 0.999
6 S 0.129 0.445 0.639
7 S 0.161 0.021 0.295
8 N 0.172 0.243 0.605
9 N 0.241 0.215 0.176

Formation energy from the elements = -160.9 meV/atom

---

5.
Entry from Materials Project: crystalline CdH4C4S4N6 at its relaxed geometry (PBE-GGA).

abc: 13.412 10.955 8.056
angles: 90.00 95.87 90.00
Space group C2/c (No. 15)
Symmetry-distinct sites (fractional):
1 Cd 0.000 0.080 0.250
2 H 0.067 0.446 0.118
3 H 0.160 0.488 0.276
4 C 0.111 0.374 0.619
5 C 0.118 0.154 0.581
6 S 0.140 0.001 0.079
7 S 0.171 0.254 0.734
8 N 0.057 0.337 0.481
9 N 0.062 0.213 0.463
10 N 0.120 0.492 0.666
*/

No matter how hard I scream, the characters never hear me and they succumb to the same fate every time I watch the movie; someone or some group of young people go off by themselves, and there the giant shark lies and wait. It’s really quite sad but for some reason wildly entertaining.

I hate to be the bearer of bad news, but often times many of us are living lives very similar to scary movies. We connect with people we shouldn’t connect with; we go places we know we shouldn’t go, we do things we know we shouldn’t do. All the while, I could imagine God in Heaven looking at us and screaming just as I have done many times before in front of my TV screen:

“Look out, don’t go in there, it’s not safe!”
“Don’t play that music, it’s a trap, it’ll harden your heart!”
“I didn’t design you for that purpose, don’t do that, it’ll hurt you in the long run!”
“Run away, just run away, now!”

When God is screaming into the scary movie that you are living each and every day, do your hear him? Jaws, the Great White Shark, is fake, he was simply a figment of someone’s imagination created through animatronics and other special effects. You, on the other hand, are real flesh in blood, soul and spirit. Do you know the voice of God as he calls out to you? Though I am no longer speaking of a scary movie created in Hollywood, there is still an enemy out there seeking to devour you (John 10:10). The enemy is lurking about just waiting for a hapless victim to come along unaware and unprepared so that he can consume them. Sounds scary? It does not have to be.

In John 10:1-18, Jesus is teaching his disciples about the work of the Shepherd and how the sheep know the shepherd’s voice and respond to it. The shepherd’s role is to protect the sheep from wolves and other dangers but the sheep must be willing to follow the shepherd. Ladies and gentleman, we are those sheep Jesus is referring to and through right relationship, we can get to know and trust our Shepherd so that he can protect us from the enemy. It is only through knowing the voice of Jesus our Good Shepherd that we will be able to escape the traps of the enemy.

I am challenging you to build a strong relationship with Jesus Christ, learn to recognize his voice so that when you are tempted to go somewhere you shouldn’t go, or do something you shouldn’t do, that you would know the voice that is yelling for you not to go there, or not to do it. Unlike us, God has seen our movie before and he knows the outcome well before we do. Listen to him calling out to you; trust Him and heed His warnings because He has your very best interest in mind.